• Job:
Next, find the line below that holds "4.43 eV", then quote that line and all lines after it there.

• Contents:
=====
(1)
Entry from the OMol25 dataset: C40H55ClN3O4PTl as an isolated structure in a non-equilibrium geometry (ωB97M-V/def2-TZVPD).

Atoms and positions in Å:
H 0.481 -6.087 1.322
H -1.464 -0.395 -6.748
H 1.652 1.599 5.122
C 3.278 -3.389 -6.148
H 0.123 -3.390 2.222
C 3.431 -6.486 -0.308
H -2.277 1.039 -2.196
H -2.965 1.770 4.981
H 1.522 3.088 1.382
C -3.661 2.881 2.440
H -0.116 6.417 0.091
H -1.025 -2.646 1.051
O -0.424 -1.674 -5.473
C -1.574 -0.203 -3.908
C 1.472 4.552 3.117
H -4.622 2.620 3.005
C 2.398 -5.957 -7.095
C 1.905 4.074 1.732
H -4.683 4.857 -0.330
C 0.044 2.839 6.078
H -3.023 1.957 2.411
H -4.322 6.765 1.491
C -2.998 3.957 3.340
C 0.034 5.034 3.315
H -2.167 1.480 6.508
H 2.868 -5.146 -9.022
C 0.824 1.486 5.877
H 0.604 -0.422 4.806
C 2.895 -4.997 -7.987
H 1.533 -8.555 -4.235
H -0.678 4.736 0.504
H 2.180 -8.431 -5.937
H -0.237 0.818 -0.916
H 2.069 6.170 0.830
Cl 1.536 -0.670 2.326
C -3.525 5.364 3.049
H -2.347 0.116 -4.670
C -0.279 6.054 2.251
H 2.988 3.976 1.687
C -1.458 0.422 -2.618
H -1.316 6.472 2.303
C 2.318 -6.781 0.532
C 2.291 -4.480 -1.077
C -3.893 3.284 0.963
H 1.630 4.866 -0.336
N 2.011 -3.399 -1.854
H -2.941 6.115 3.585
C 0.571 -1.369 -3.325
H 0.038 5.530 4.360
H -1.964 3.740 5.740
H -3.469 3.619 4.382
C -1.356 0.412 4.843
H 1.320 -2.586 -4.770
H 3.098 -5.080 -3.310
H -1.986 -0.440 5.098
N 1.469 -2.345 -3.808
H -4.533 5.391 3.528
H 0.355 6.939 2.474
C 1.304 -4.715 -0.088
H 0.715 -7.615 -5.456
H -0.334 2.897 7.102
H -2.500 -1.703 -6.028
H 3.639 -3.022 -8.219
C -4.570 4.657 0.741
H -1.261 0.471 3.738
C 1.513 5.191 0.697
C -0.519 -1.004 -4.268
C 3.496 -5.276 -1.024
C -0.309 0.246 -1.828
C -1.515 -1.423 -6.406
C 2.837 -4.405 -5.298
H -4.484 2.544 0.490
O -0.731 2.665 2.444
C 1.258 -5.915 0.609
O 2.339 -6.649 -4.744
H 1.975 -6.914 -7.401
H 1.313 1.209 6.827
O 0.444 -3.699 0.180
H 0.729 3.695 5.928
C -0.426 -3.562 1.315
C 3.341 -3.738 -7.524
C 2.481 -5.697 -5.743
H 1.752 3.834 3.959
H -2.828 5.878 0.957
C 0.632 -0.714 -2.103
C 1.667 -7.909 -5.141
N 2.798 -4.236 -3.873
H 4.380 -4.998 -1.566
H -1.147 -4.413 1.321
H -1.275 -2.100 -7.255
C 0.034 5.562 0.832
Tl 1.954 -1.290 -0.290
H 3.671 -2.427 -5.835
C 2.090 -3.352 -3.110
C -1.244 2.958 5.319
H -2.920 3.283 0.408
H -5.578 4.649 1.132
C 0.037 0.201 5.539
P -1.221 3.612 3.495
H 2.047 5.502 3.245
C -1.985 1.631 5.432
H 2.343 -7.575 1.295
H -0.068 -0.443 6.411
C -3.762 5.778 1.517
H 4.257 -7.177 -0.413

Output
* energy: -81527.878 eV
* orbital gap (spin up / spin down): 4.43 / 4.43 eV
* HOMO (spin up / spin down): -10.3 / -10.3 eV
* charge: +1

(2)
Entry from the OMol25 dataset: a 7-piece molecular cluster, C27H30Cl4N2O4 overall in a non-equilibrium geometry (ωB97M-V/def2-TZVPD).

Atoms and positions in Å:
H 26.614 5.362 20.942
H 21.388 0.344 19.479
C 18.590 1.508 27.930
H 22.046 -4.502 30.252
C 25.964 3.345 21.683
C 19.244 -1.917 29.563
H 18.417 -1.224 29.521
H 17.208 0.977 20.097
C 28.524 0.769 24.174
C 26.086 4.432 20.790
C 21.291 -3.754 30.063
H 19.966 -4.878 31.198
C 19.220 -2.790 26.202
C 18.522 1.707 21.636
C 29.269 -0.195 22.125
H 29.972 -0.329 21.316
H 18.583 -2.088 26.740
Cl 22.955 -1.503 24.125
H 22.610 -2.423 28.958
H 21.910 1.421 21.574
C 20.580 0.715 20.092
H 26.508 3.169 22.600
C 21.608 -2.602 29.317
H 30.260 1.473 23.103
H 19.877 -2.391 25.429
H 26.659 -1.919 23.400
C 24.556 3.399 19.288
H 25.698 5.247 18.966
H 18.013 -3.322 30.562
Cl 21.448 -0.083 25.964
Cl 24.418 -0.105 26.140
H 17.711 2.059 22.256
H 23.966 3.496 18.388
H 18.174 1.400 28.932
C 19.029 -3.157 30.235
C 19.279 0.660 19.611
C 20.877 1.332 21.273
O 17.599 0.306 26.341
C 19.790 1.816 22.035
C 20.586 -1.652 29.089
H 20.899 -0.742 28.599
C 27.405 -1.143 23.312
H 20.063 2.343 22.937
C 27.557 -0.161 24.262
C 22.977 -0.083 25.123
H 19.474 0.883 27.812
H 24.998 1.387 21.920
O 17.520 -4.408 26.255
O 16.817 2.283 26.592
C 25.454 4.409 19.602
C 20.051 -4.032 30.532
H 28.134 -1.745 21.386
N 17.603 1.417 26.827
H 26.999 -0.161 25.186
C 18.231 1.197 20.362
C 24.386 2.347 20.137
H 18.911 2.550 27.926
=====

• Reply:
* orbital gap (spin up / spin down): 4.43 / 4.43 eV
* HOMO (spin up / spin down): -10.3 / -10.3 eV
* charge: +1

(2)
Entry from the OMol25 dataset: a 7-piece molecular cluster, C27H30Cl4N2O4 overall in a non-equilibrium geometry (ωB97M-V/def2-TZVPD).

Atoms and positions in Å:
H 26.614 5.362 20.942
H 21.388 0.344 19.479
C 18.590 1.508 27.930
H 22.046 -4.502 30.252
C 25.964 3.345 21.683
C 19.244 -1.917 29.563
H 18.417 -1.224 29.521
H 17.208 0.977 20.097
C 28.524 0.769 24.174
C 26.086 4.432 20.790
C 21.291 -3.754 30.063
H 19.966 -4.878 31.198
C 19.220 -2.790 26.202
C 18.522 1.707 21.636
C 29.269 -0.195 22.125
H 29.972 -0.329 21.316
H 18.583 -2.088 26.740
Cl 22.955 -1.503 24.125
H 22.610 -2.423 28.958
H 21.910 1.421 21.574
C 20.580 0.715 20.092
H 26.508 3.169 22.600
C 21.608 -2.602 29.317
H 30.260 1.473 23.103
H 19.877 -2.391 25.429
H 26.659 -1.919 23.400
C 24.556 3.399 19.288
H 25.698 5.247 18.966
H 18.013 -3.322 30.562
Cl 21.448 -0.083 25.964
Cl 24.418 -0.105 26.140
H 17.711 2.059 22.256
H 23.966 3.496 18.388
H 18.174 1.400 28.932
C 19.029 -3.157 30.235
C 19.279 0.660 19.611
C 20.877 1.332 21.273
O 17.599 0.306 26.341
C 19.790 1.816 22.035
C 20.586 -1.652 29.089
H 20.899 -0.742 28.599
C 27.405 -1.143 23.312
H 20.063 2.343 22.937
C 27.557 -0.161 24.262
C 22.977 -0.083 25.123
H 19.474 0.883 27.812
H 24.998 1.387 21.920
O 17.520 -4.408 26.255
O 16.817 2.283 26.592
C 25.454 4.409 19.602
C 20.051 -4.032 30.532
H 28.134 -1.745 21.386
N 17.603 1.417 26.827
H 26.999 -0.161 25.186
C 18.231 1.197 20.362
C 24.386 2.347 20.137
H 18.911 2.550 27.926